Work order
Set down the contents underneath unchanged, please.

Excerpt
********
# 1
73
Properties=species:S:1:pos:R:3 method="wB97M-V/def2-TZVPD" total_charge=0 spin_multiplicity=7 e_tot_ha=-8596.7339 orbital_gap_ev="6.66 / 5.89" s_squared=12.01
Hf -6.465 -0.878 -15.341
Fe -11.902 -0.921 -16.095
C -9.340 2.581 -17.540
F -8.607 3.781 -17.496
F -10.564 2.760 -17.873
F -8.818 1.857 -18.522
S -9.394 1.505 -15.941
O -8.118 0.711 -15.785
O -9.639 2.416 -14.867
O -10.539 0.590 -16.028
C -8.864 -2.692 -19.285
F -9.965 -3.059 -19.908
F -7.957 -3.599 -19.522
F -8.486 -1.498 -19.758
S -9.082 -2.566 -17.347
O -8.006 -1.808 -16.787
O -10.356 -1.885 -17.003
O -9.138 -3.934 -16.780
C -3.567 0.768 -18.384
F -2.969 -0.424 -18.056
F -2.848 1.893 -18.168
F -3.882 0.710 -19.703
S -5.286 0.869 -17.454
O -6.079 -0.352 -17.515
O -5.221 0.856 -15.982
O -6.048 2.011 -17.899
C -9.911 -0.510 -12.094
F -10.802 -1.107 -11.291
F -10.438 0.616 -12.609
F -8.704 -0.375 -11.461
S -9.581 -1.666 -13.561
O -10.686 -1.470 -14.511
O -8.308 -1.239 -14.169
O -9.412 -3.022 -12.967
N -13.005 0.027 -14.895
S -13.844 -0.547 -13.426
O -15.252 -0.934 -13.677
O -13.465 0.008 -12.139
F -13.039 -1.918 -13.525
S -13.571 1.447 -14.570
O -13.023 2.343 -13.586
O -14.995 1.604 -14.836
F -12.944 2.091 -15.890
N -12.979 -0.876 -17.643
S -14.693 -0.984 -17.855
O -15.199 -1.811 -18.974
O -15.355 0.191 -17.354
F -14.779 -1.945 -16.588
S -12.869 -0.240 -19.059
O -13.390 1.119 -19.168
O -12.893 -1.085 -20.246
F -11.207 -0.007 -18.890
C -7.312 2.553 -11.903
N -6.819 1.969 -13.193
O -6.615 2.736 -14.126
O -6.777 0.762 -13.389
H -7.554 3.595 -12.113
H -6.516 2.461 -11.165
H -8.190 1.975 -11.614
C -12.975 4.280 -19.640
N -14.482 4.155 -19.499
O -15.183 4.464 -20.437
O -14.964 3.828 -18.387
H -12.664 3.565 -20.401
H -12.602 4.101 -18.631
H -12.857 5.324 -19.931
C -8.675 7.050 -19.497
N -9.696 6.423 -20.427
O -9.785 6.862 -21.538
O -10.493 5.611 -19.908
H -7.798 6.930 -20.133
H -8.646 6.494 -18.560
H -8.957 8.099 -19.407



# 2
30
Properties=species:S:1:pos:R:3 method="wB97M-V/def2-TZVPD" total_charge=-1 e_tot_ha=-1841.1140 orbital_gap_ev=9.01
Sn 1.522 -0.660 0.052
O 0.396 -3.130 -0.640
C -1.023 -3.045 -0.516
C -1.442 -1.954 0.446
N -0.902 -0.613 0.136
C -1.373 -0.098 -1.157
C -0.637 -0.772 -2.307
O -1.249 -1.032 -3.339
O 0.611 -1.003 -2.045
C -1.193 0.311 1.247
C -0.328 -0.029 2.445
O -0.805 0.025 3.573
O 0.885 -0.338 2.111
H 0.626 -2.664 -1.457
H -1.399 -3.985 -0.116
H -1.482 -2.901 -1.496
H -1.123 -2.213 1.456
H -2.539 -1.911 0.442
H -1.123 0.962 -1.204
H -2.449 -0.218 -1.283
H -2.242 0.288 1.535
H -0.929 1.320 0.926
F 3.167 4.510 0.545
C 2.292 3.540 0.807
F 1.077 4.083 0.970
F 2.644 2.922 1.936
S 2.282 2.348 -0.594
O 2.359 3.163 -1.769
O 3.393 1.459 -0.316
O 0.985 1.632 -0.387



# 3
23
Properties=species:S:1:pos:R:3 method="wB97M-V/def2-TZVPD" total_charge=0 e_above_lowest_kcal_mol=65.06 e_tot_ha=-984.3292 orbital_gap_ev=6.57
C -1.078 -0.746 -1.869
C 0.773 -0.987 -2.869
C -0.170 -0.838 -0.828
C 2.693 -2.264 3.357
C -0.173 -0.807 0.673
C -0.348 0.581 1.284
C -1.358 2.725 1.487
N -0.507 -0.777 -3.060
N 0.994 -1.110 -1.521
N -1.203 1.487 1.008
O 2.064 -1.323 3.573
O 3.323 -3.198 3.150
F -2.501 3.392 1.112
I -0.829 2.662 -2.790
H -2.156 -0.390 -1.903
H 1.668 -0.884 -3.434
H 0.867 -1.273 1.039
H -0.876 -1.444 1.208
H 0.319 0.593 2.118
H -0.574 3.189 2.201
H 1.896 -1.115 -1.083
H -0.968 1.206 -3.026
H -1.858 1.321 0.173



# 4
19
Properties=species:S:1:pos:R:3 method="wB97M-V/def2-TZVPD" total_charge=0 e_above_lowest_kcal_mol=58.76 e_tot_ha=-522.3284 orbital_gap_ev=8.73
C 1.335 -1.918 -1.680
C -0.053 -1.173 2.509
C 0.681 -1.664 -0.510
C 0.797 -0.491 1.755
C -0.834 0.638 -0.097
C -1.372 2.674 -1.192
C 0.826 -0.487 0.329
O -1.787 0.110 0.306
O -0.467 1.705 -0.719
F 1.776 0.400 -0.177
H 0.937 -2.632 -2.502
H 2.081 -1.230 -2.048
H -0.069 -0.982 3.548
H -0.964 -1.574 2.186
H 0.065 -2.390 -0.069
H 1.506 0.281 2.196
H -2.356 2.333 -0.825
H -1.198 2.813 -2.222
H -0.905 3.586 -0.788



# 5
26
********

Outcome
# 1
73
Properties=species:S:1:pos:R:3 method="wB97M-V/def2-TZVPD" total_charge=0 spin_multiplicity=7 e_tot_ha=-8596.7339 orbital_gap_ev="6.66 / 5.89" s_squared=12.01
Hf -6.465 -0.878 -15.341
Fe -11.902 -0.921 -16.095
C -9.340 2.581 -17.540
F -8.607 3.781 -17.496
F -10.564 2.760 -17.873
F -8.818 1.857 -18.522
S -9.394 1.505 -15.941
O -8.118 0.711 -15.785
O -9.639 2.416 -14.867
O -10.539 0.590 -16.028
C -8.864 -2.692 -19.285
F -9.965 -3.059 -19.908
F -7.957 -3.599 -19.522
F -8.486 -1.498 -19.758
S -9.082 -2.566 -17.347
O -8.006 -1.808 -16.787
O -10.356 -1.885 -17.003
O -9.138 -3.934 -16.780
C -3.567 0.768 -18.384
F -2.969 -0.424 -18.056
F -2.848 1.893 -18.168
F -3.882 0.710 -19.703
S -5.286 0.869 -17.454
O -6.079 -0.352 -17.515
O -5.221 0.856 -15.982
O -6.048 2.011 -17.899
C -9.911 -0.510 -12.094
F -10.802 -1.107 -11.291
F -10.438 0.616 -12.609
F -8.704 -0.375 -11.461
S -9.581 -1.666 -13.561
O -10.686 -1.470 -14.511
O -8.308 -1.239 -14.169
O -9.412 -3.022 -12.967
N -13.005 0.027 -14.895
S -13.844 -0.547 -13.426
O -15.252 -0.934 -13.677
O -13.465 0.008 -12.139
F -13.039 -1.918 -13.525
S -13.571 1.447 -14.570
O -13.023 2.343 -13.586
O -14.995 1.604 -14.836
F -12.944 2.091 -15.890
N -12.979 -0.876 -17.643
S -14.693 -0.984 -17.855
O -15.199 -1.811 -18.974
O -15.355 0.191 -17.354
F -14.779 -1.945 -16.588
S -12.869 -0.240 -19.059
O -13.390 1.119 -19.168
O -12.893 -1.085 -20.246
F -11.207 -0.007 -18.890
C -7.312 2.553 -11.903
N -6.819 1.969 -13.193
O -6.615 2.736 -14.126
O -6.777 0.762 -13.389
H -7.554 3.595 -12.113
H -6.516 2.461 -11.165
H -8.190 1.975 -11.614
C -12.975 4.280 -19.640
N -14.482 4.155 -19.499
O -15.183 4.464 -20.437
O -14.964 3.828 -18.387
H -12.664 3.565 -20.401
H -12.602 4.101 -18.631
H -12.857 5.324 -19.931
C -8.675 7.050 -19.497
N -9.696 6.423 -20.427
O -9.785 6.862 -21.538
O -10.493 5.611 -19.908
H -7.798 6.930 -20.133
H -8.646 6.494 -18.560
H -8.957 8.099 -19.407



# 2
30
Properties=species:S:1:pos:R:3 method="wB97M-V/def2-TZVPD" total_charge=-1 e_tot_ha=-1841.1140 orbital_gap_ev=9.01
Sn 1.522 -0.660 0.052
O 0.396 -3.130 -0.640
C -1.023 -3.045 -0.516
C -1.442 -1.954 0.446
N -0.902 -0.613 0.136
C -1.373 -0.098 -1.157
C -0.637 -0.772 -2.307
O -1.249 -1.032 -3.339
O 0.611 -1.003 -2.045
C -1.193 0.311 1.247
C -0.328 -0.029 2.445
O -0.805 0.025 3.573
O 0.885 -0.338 2.111
H 0.626 -2.664 -1.457
H -1.399 -3.985 -0.116
H -1.482 -2.901 -1.496
H -1.123 -2.213 1.456
H -2.539 -1.911 0.442
H -1.123 0.962 -1.204
H -2.449 -0.218 -1.283
H -2.242 0.288 1.535
H -0.929 1.320 0.926
F 3.167 4.510 0.545
C 2.292 3.540 0.807
F 1.077 4.083 0.970
F 2.644 2.922 1.936
S 2.282 2.348 -0.594
O 2.359 3.163 -1.769
O 3.393 1.459 -0.316
O 0.985 1.632 -0.387



# 3
23
Properties=species:S:1:pos:R:3 method="wB97M-V/def2-TZVPD" total_charge=0 e_above_lowest_kcal_mol=65.06 e_tot_ha=-984.3292 orbital_gap_ev=6.57
C -1.078 -0.746 -1.869
C 0.773 -0.987 -2.869
C -0.170 -0.838 -0.828
C 2.693 -2.264 3.357
C -0.173 -0.807 0.673
C -0.348 0.581 1.284
C -1.358 2.725 1.487
N -0.507 -0.777 -3.060
N 0.994 -1.110 -1.521
N -1.203 1.487 1.008
O 2.064 -1.323 3.573
O 3.323 -3.198 3.150
F -2.501 3.392 1.112
I -0.829 2.662 -2.790
H -2.156 -0.390 -1.903
H 1.668 -0.884 -3.434
H 0.867 -1.273 1.039
H -0.876 -1.444 1.208
H 0.319 0.593 2.118
H -0.574 3.189 2.201
H 1.896 -1.115 -1.083
H -0.968 1.206 -3.026
H -1.858 1.321 0.173



# 4
19
Properties=species:S:1:pos:R:3 method="wB97M-V/def2-TZVPD" total_charge=0 e_above_lowest_kcal_mol=58.76 e_tot_ha=-522.3284 orbital_gap_ev=8.73
C 1.335 -1.918 -1.680
C -0.053 -1.173 2.509
C 0.681 -1.664 -0.510
C 0.797 -0.491 1.755
C -0.834 0.638 -0.097
C -1.372 2.674 -1.192
C 0.826 -0.487 0.329
O -1.787 0.110 0.306
O -0.467 1.705 -0.719
F 1.776 0.400 -0.177
H 0.937 -2.632 -2.502
H 2.081 -1.230 -2.048
H -0.069 -0.982 3.548
H -0.964 -1.574 2.186
H 0.065 -2.390 -0.069
H 1.506 0.281 2.196
H -2.356 2.333 -0.825
H -1.198 2.813 -2.222
H -0.905 3.586 -0.788



# 5
26